• Source:
(1)
This record from the Materials Project describes a geometry-optimized Rb2NbCuS2 structure. The functional is PBE-GGA.

It has space group Fddd (No. 70, origin choice 2), with a = 7.367 Å, b = 9.753 Å, c = 44.535 Å, α = 90.00°, β = 90.00° and γ = 90.00°. The distinct sites, in fractional coordinates, are Rb at (0.101, 0.313, 0.071), Nb at (0.000, 0.000, 0.500), Cu at (0.000, 0.000, 0.000) and S at (0.055, 0.305, 0.966).

As for the formation energy: -0.50 eV/atom. The spin magnetization comes out at 0.018 μB/atom. For the total energy, the calculation gives -4.4052 eV/atom.

(2)
This record from the Materials Project describes a geometry-optimized Mg3Mn structure. The functional is PBE-GGA.

It has space group Fm-3m (No. 225), with a = 6.804 Å, b = 6.804 Å, c = 6.804 Å, α = 90.00°, β = 90.00° and γ = 90.00°. The distinct sites, in fractional coordinates, are Mg at (0.000, 0.000, 0.000), Mg at (0.250, 0.250, 0.250) and Mn at (0.000, 0.000, 0.500).

As for the formation energy: 0.17 eV/atom. The spin magnetization comes out at 0.903 μB/atom. For the total energy, the calculation gives -3.3176 eV/atom.

> Which of these has the lowest spin magnetization?

Rb2NbCuS2

> What is the formula in the second record?

Mg3Mn

> Among the records above, which one has the highest spin magnetization?

Mg3Mn

----------

This record from the Materials Project describes a relaxed structure of Ba3Cr2O8. The functional is PBE+U.

Calculated values
**Distance to the lowest polymorph of the same formula**: 1 meV/atom

abc: 5.8449 5.8449 7.9630
angles: 111.34 111.34 60.00
Fractional coordinates of all 13 atoms:
Ba1 0.0000 0.0000 0.0000
Ba2 0.2010 0.2108 0.6188
Ba3 0.7892 0.7990 0.3812
Cr1 0.4037 0.4102 0.2209
Cr2 0.5898 0.5963 0.7791
O1 0.2394 0.7318 0.6999
O2 0.2682 0.7606 0.3001
O3 0.2734 0.2746 0.3042
O4 0.3179 0.3414 0.9844
O5 0.6586 0.6821 0.0156
O6 0.7246 0.2481 0.6948
O7 0.7254 0.7266 0.6958
O8 0.7519 0.2754 0.3052

***

This record from the Materials Project describes a relaxed structure of CoPO4. The functional is PBE+U.

abc: 10.4500 5.1095 6.7168
angles: 90.00 90.00 90.00
Fractional coordinates of all 24 atoms:
Co1 0.1576 0.1851 0.0000
Co2 0.3424 0.6851 0.5000
Co3 0.6576 0.3149 0.0000
Co4 0.8424 0.8149 0.5000
P1 0.0950 0.6864 0.2540
P2 0.4050 0.1864 0.7540
P3 0.5950 0.8136 0.2540
P4 0.9050 0.3136 0.7540
O1 0.0477 0.2517 0.7899
O2 0.1113 0.3890 0.2178
O3 0.1422 0.8334 0.0665
O4 0.1728 0.7632 0.4418
O5 0.3272 0.2632 0.9418
O6 0.3578 0.3334 0.5665
O7 0.3887 0.8890 0.7178
O8 0.4523 0.7517 0.2899
O9 0.5477 0.2483 0.7899
O10 0.6113 0.1110 0.2178
O11 0.6422 0.6666 0.0665
O12 0.6728 0.7368 0.4418
O13 0.8272 0.2368 0.9418
O14 0.8578 0.1666 0.5665
O15 0.8887 0.6110 0.7178
O16 0.9523 0.7483 0.2899

***

This record from the Materials Project describes a relaxed structure of SrDy2Fe2O7. The functional is PBE+U.

Calculated values
**Magnetic moment**: 0.83 μB/atom

abc: 10.4382 10.4382 10.4382
angles: 159.03 159.03 29.82
Fractional coordinates of all 12 atoms:
Sr1 0.0000 0.0000 0.0000
Dy1 0.6335 0.6335 0.0000
Dy2 0.8212 0.8212 0.0000
Fe1 0.2131 0.2131 0.0000
Fe2 0.4125 0.4125 0.0000
O1 0.1152 0.1152 0.0000
O2 0.2088 0.7088 0.5000
O3 0.3088 0.3088 0.0000
O4 0.4005 0.9005 0.5000
O5 0.5188 0.5188 0.0000
O6 0.7088 0.2088 0.5000
O7 0.9005 0.4005 0.5000

***

This record from the Materials Project describes a relaxed structure of Li9Mn2Co5O16. The functional is PBE+U.

Calculated values
**Distance to the lowest polymorph of the same formula**: 32 meV/atom
**Magnetic moment**: 0.31 μB/atom

abc: 9.8466 2.9221 10.2420
angles: 90.00 99.54 90.00
Fractional coordinates of all 32 atoms:
Li1 0.0000 0.0000 0.0000
Li2 0.0008 0.0000 0.4842
Li3 0.0090 0.5000 0.2403
Li4 0.2423 0.0000 0.3651
Li5 0.4914 0.5000 0.4758
Li6 0.4973 0.5000 0.9952
Li7 0.4997 0.0000 0.2462
Li8 0.5029 0.0000 0.7359
Li9 0.9865 0.5000 0.7384
Mn1 0.2450 0.0000 0.8648
Mn2 0.2446 0.5000 0.6065
Co1 0.2561 0.5000 0.1408
Co2 0.7446 0.0000 0.6140
Co3 0.7463 0.5000 0.8651
Co4 0.7492 0.0000 0.1151

• Exercise:
Please write out the contents above word for word.

• Response:
(1)
This record from the Materials Project describes a geometry-optimized Rb2NbCuS2 structure. The functional is PBE-GGA.

It has space group Fddd (No. 70, origin choice 2), with a = 7.367 Å, b = 9.753 Å, c = 44.535 Å, α = 90.00°, β = 90.00° and γ = 90.00°. The distinct sites, in fractional coordinates, are Rb at (0.101, 0.313, 0.071), Nb at (0.000, 0.000, 0.500), Cu at (0.000, 0.000, 0.000) and S at (0.055, 0.305, 0.966).

As for the formation energy: -0.50 eV/atom. The spin magnetization comes out at 0.018 μB/atom. For the total energy, the calculation gives -4.4052 eV/atom.

(2)
This record from the Materials Project describes a geometry-optimized Mg3Mn structure. The functional is PBE-GGA.

It has space group Fm-3m (No. 225), with a = 6.804 Å, b = 6.804 Å, c = 6.804 Å, α = 90.00°, β = 90.00° and γ = 90.00°. The distinct sites, in fractional coordinates, are Mg at (0.000, 0.000, 0.000), Mg at (0.250, 0.250, 0.250) and Mn at (0.000, 0.000, 0.500).

As for the formation energy: 0.17 eV/atom. The spin magnetization comes out at 0.903 μB/atom. For the total energy, the calculation gives -3.3176 eV/atom.

> Which of these has the lowest spin magnetization?

Rb2NbCuS2

> What is the formula in the second record?

Mg3Mn

> Among the records above, which one has the highest spin magnetization?

Mg3Mn

----------

This record from the Materials Project describes a relaxed structure of Ba3Cr2O8. The functional is PBE+U.

Calculated values
**Distance to the lowest polymorph of the same formula**: 1 meV/atom

abc: 5.8449 5.8449 7.9630
angles: 111.34 111.34 60.00
Fractional coordinates of all 13 atoms:
Ba1 0.0000 0.0000 0.0000
Ba2 0.2010 0.2108 0.6188
Ba3 0.7892 0.7990 0.3812
Cr1 0.4037 0.4102 0.2209
Cr2 0.5898 0.5963 0.7791
O1 0.2394 0.7318 0.6999
O2 0.2682 0.7606 0.3001
O3 0.2734 0.2746 0.3042
O4 0.3179 0.3414 0.9844
O5 0.6586 0.6821 0.0156
O6 0.7246 0.2481 0.6948
O7 0.7254 0.7266 0.6958
O8 0.7519 0.2754 0.3052

***

This record from the Materials Project describes a relaxed structure of CoPO4. The functional is PBE+U.

abc: 10.4500 5.1095 6.7168
angles: 90.00 90.00 90.00
Fractional coordinates of all 24 atoms:
Co1 0.1576 0.1851 0.0000
Co2 0.3424 0.6851 0.5000
Co3 0.6576 0.3149 0.0000
Co4 0.8424 0.8149 0.5000
P1 0.0950 0.6864 0.2540
P2 0.4050 0.1864 0.7540
P3 0.5950 0.8136 0.2540
P4 0.9050 0.3136 0.7540
O1 0.0477 0.2517 0.7899
O2 0.1113 0.3890 0.2178
O3 0.1422 0.8334 0.0665
O4 0.1728 0.7632 0.4418
O5 0.3272 0.2632 0.9418
O6 0.3578 0.3334 0.5665
O7 0.3887 0.8890 0.7178
O8 0.4523 0.7517 0.2899
O9 0.5477 0.2483 0.7899
O10 0.6113 0.1110 0.2178
O11 0.6422 0.6666 0.0665
O12 0.6728 0.7368 0.4418
O13 0.8272 0.2368 0.9418
O14 0.8578 0.1666 0.5665
O15 0.8887 0.6110 0.7178
O16 0.9523 0.7483 0.2899

***

This record from the Materials Project describes a relaxed structure of SrDy2Fe2O7. The functional is PBE+U.

Calculated values
**Magnetic moment**: 0.83 μB/atom

abc: 10.4382 10.4382 10.4382
angles: 159.03 159.03 29.82
Fractional coordinates of all 12 atoms:
Sr1 0.0000 0.0000 0.0000
Dy1 0.6335 0.6335 0.0000
Dy2 0.8212 0.8212 0.0000
Fe1 0.2131 0.2131 0.0000
Fe2 0.4125 0.4125 0.0000
O1 0.1152 0.1152 0.0000
O2 0.2088 0.7088 0.5000
O3 0.3088 0.3088 0.0000
O4 0.4005 0.9005 0.5000
O5 0.5188 0.5188 0.0000
O6 0.7088 0.2088 0.5000
O7 0.9005 0.4005 0.5000

***

This record from the Materials Project describes a relaxed structure of Li9Mn2Co5O16. The functional is PBE+U.

Calculated values
**Distance to the lowest polymorph of the same formula**: 32 meV/atom
**Magnetic moment**: 0.31 μB/atom

abc: 9.8466 2.9221 10.2420
angles: 90.00 99.54 90.00
Fractional coordinates of all 32 atoms:
Li1 0.0000 0.0000 0.0000
Li2 0.0008 0.0000 0.4842
Li3 0.0090 0.5000 0.2403
Li4 0.2423 0.0000 0.3651
Li5 0.4914 0.5000 0.4758
Li6 0.4973 0.5000 0.9952
Li7 0.4997 0.0000 0.2462
Li8 0.5029 0.0000 0.7359
Li9 0.9865 0.5000 0.7384
Mn1 0.2450 0.0000 0.8648
Mn2 0.2446 0.5000 0.6065
Co1 0.2561 0.5000 0.1408
Co2 0.7446 0.0000 0.6140
Co3 0.7463 0.5000 0.8651
Co4 0.7492 0.0000 0.1151